• Brief:
Find the line further below that holds "0.312 0.371", then quote that line and all lines after it there.

• Excerpt:
~~~
# CaV3P4O14
Simulated PXRD pattern, Cu Kα (λ = 1.5418 Å). Input: a DFT-relaxed cell (GGA+U, the Materials Project).
No peak broadening, texture or thermal motion is included.

Crystal structure
Unit cell a=7.609 b=7.863 c=9.618 alpha=90.00 beta=111.80 gamma=90.00
Atoms (fractional coordinates):
Ca 0.000 0.000 0.000
Ca 0.000 0.500 0.500
V 0.312 0.129 0.474
V 0.312 0.371 0.974
V 0.500 0.000 0.000
V 0.500 0.500 0.500
V 0.688 0.629 0.026
V 0.688 0.871 0.526
P 0.100 0.064 0.706
P 0.100 0.436 0.206
P 0.376 0.703 0.189
P 0.376 0.797 0.689
P 0.624 0.203 0.311
P 0.624 0.297 0.811
P 0.900 0.564 0.794
P 0.900 0.936 0.294
O 0.098 0.522 0.799
O 0.098 0.978 0.299
O 0.119 0.191 0.592
O 0.119 0.309 0.092
O 0.177 0.618 0.177
O 0.177 0.882 0.677
O 0.225 0.116 0.870
O 0.225 0.384 0.370
O 0.322 0.628 0.606
O 0.322 0.872 0.106
O 0.466 0.581 0.111
O 0.466 0.919 0.611
O 0.489 0.714 0.358
O 0.489 0.786 0.858
O 0.511 0.214 0.142
O 0.511 0.286 0.642
O 0.534 0.081 0.389
O 0.534 0.419 0.889
O 0.678 0.128 0.894
O 0.678 0.372 0.394
O 0.775 0.616 0.630
O 0.775 0.884 0.130
O 0.823 0.118 0.323
O 0.823 0.382 0.823
O 0.881 0.691 0.908
O 0.881 0.809 0.408
O 0.902 0.022 0.701
O 0.902 0.478 0.201

Principal peaks in the range 2θ = 10–80°, sorted by position:
2θ (°), d [Å], I_rel
17.05, 5.200, 33.2
25.96, 3.433, 46.1
27.30, 3.266, 35.6
28.13, 3.172, 100.0
29.50, 3.028, 97.4
29.62, 3.016, 72.4
29.81, 2.997, 56.3
32.15, 2.784, 36.3
32.58, 2.748, 47.1
33.35, 2.687, 45.5
35.71, 2.515, 53.2
35.91, 2.501, 36.9

---

# CaV4P4O20
Simulated PXRD pattern, Cu Kα (λ = 1.5418 Å). Input: a DFT-relaxed cell (GGA+U, the Materials Project).
No peak broadening, texture or thermal motion is included.

Crystal structure
Unit cell a=5.299 b=7.349 c=10.369 alpha=70.80 beta=75.63 gamma=69.69
Atoms (fractional coordinates):
Ca 0.000 0.000 0.000
V 0.000 0.000 0.500
V 0.064 0.707 0.281
V 0.500 0.500 0.000
V 0.936 0.293 0.719
P 0.315 0.578 0.705
P 0.417 0.040 0.214
P 0.583 0.960 0.786
P 0.685 0.422 0.295
O 0.013 0.189 0.575
O 0.124 0.486 0.673
O 0.215 0.649 0.096
O 0.234 0.804 0.628
O 0.250 0.937 0.173
O 0.275 0.554 0.863
O 0.278 0.083 0.799
O 0.310 0.047 0.366
O 0.388 0.515 0.351
O 0.390 0.251 0.112
O 0.610 0.749 0.888
O 0.612 0.485 0.649
O 0.690 0.953 0.634
O 0.722 0.917 0.201
O 0.725 0.446 0.137
O 0.750 0.063 0.827
O 0.766 0.196 0.372
O 0.785 0.351 0.904
O 0.876 0.514 0.327
O 0.987 0.811 0.425

Principal peaks in the range 2θ = 10–80°, sorted by position:
2θ (°), d [Å], I_rel
18.10, 4.902, 19.7
18.32, 4.843, 25.8
18.98, 4.675, 28.6
19.10, 4.647, 48.5
21.71, 4.094, 24.5
26.84, 3.321, 80.8
27.27, 3.270, 100.0
27.42, 3.253, 26.5
27.71, 3.220, 46.4
30.76, 2.907, 18.3
31.07, 2.878, 20.8
~~~

• Reply:
V 0.312 0.371 0.974
V 0.500 0.000 0.000
V 0.500 0.500 0.500
V 0.688 0.629 0.026
V 0.688 0.871 0.526
P 0.100 0.064 0.706
P 0.100 0.436 0.206
P 0.376 0.703 0.189
P 0.376 0.797 0.689
P 0.624 0.203 0.311
P 0.624 0.297 0.811
P 0.900 0.564 0.794
P 0.900 0.936 0.294
O 0.098 0.522 0.799
O 0.098 0.978 0.299
O 0.119 0.191 0.592
O 0.119 0.309 0.092
O 0.177 0.618 0.177
O 0.177 0.882 0.677
O 0.225 0.116 0.870
O 0.225 0.384 0.370
O 0.322 0.628 0.606
O 0.322 0.872 0.106
O 0.466 0.581 0.111
O 0.466 0.919 0.611
O 0.489 0.714 0.358
O 0.489 0.786 0.858
O 0.511 0.214 0.142
O 0.511 0.286 0.642
O 0.534 0.081 0.389
O 0.534 0.419 0.889
O 0.678 0.128 0.894
O 0.678 0.372 0.394
O 0.775 0.616 0.630
O 0.775 0.884 0.130
O 0.823 0.118 0.323
O 0.823 0.382 0.823
O 0.881 0.691 0.908
O 0.881 0.809 0.408
O 0.902 0.022 0.701
O 0.902 0.478 0.201

Principal peaks in the range 2θ = 10–80°, sorted by position:
2θ (°), d [Å], I_rel
17.05, 5.200, 33.2
25.96, 3.433, 46.1
27.30, 3.266, 35.6
28.13, 3.172, 100.0
29.50, 3.028, 97.4
29.62, 3.016, 72.4
29.81, 2.997, 56.3
32.15, 2.784, 36.3
32.58, 2.748, 47.1
33.35, 2.687, 45.5
35.71, 2.515, 53.2
35.91, 2.501, 36.9

---

# CaV4P4O20
Simulated PXRD pattern, Cu Kα (λ = 1.5418 Å). Input: a DFT-relaxed cell (GGA+U, the Materials Project).
No peak broadening, texture or thermal motion is included.

Crystal structure
Unit cell a=5.299 b=7.349 c=10.369 alpha=70.80 beta=75.63 gamma=69.69
Atoms (fractional coordinates):
Ca 0.000 0.000 0.000
V 0.000 0.000 0.500
V 0.064 0.707 0.281
V 0.500 0.500 0.000
V 0.936 0.293 0.719
P 0.315 0.578 0.705
P 0.417 0.040 0.214
P 0.583 0.960 0.786
P 0.685 0.422 0.295
O 0.013 0.189 0.575
O 0.124 0.486 0.673
O 0.215 0.649 0.096
O 0.234 0.804 0.628
O 0.250 0.937 0.173
O 0.275 0.554 0.863
O 0.278 0.083 0.799
O 0.310 0.047 0.366
O 0.388 0.515 0.351
O 0.390 0.251 0.112
O 0.610 0.749 0.888
O 0.612 0.485 0.649
O 0.690 0.953 0.634
O 0.722 0.917 0.201
O 0.725 0.446 0.137
O 0.750 0.063 0.827
O 0.766 0.196 0.372
O 0.785 0.351 0.904
O 0.876 0.514 0.327
O 0.987 0.811 0.425

Principal peaks in the range 2θ = 10–80°, sorted by position:
2θ (°), d [Å], I_rel
18.10, 4.902, 19.7
18.32, 4.843, 25.8
18.98, 4.675, 28.6
19.10, 4.647, 48.5
21.71, 4.094, 24.5
26.84, 3.321, 80.8
27.27, 3.270, 100.0
27.42, 3.253, 26.5
27.71, 3.220, 46.4
30.76, 2.907, 18.3
31.07, 2.878, 20.8